Forsyth Barr releases Not-For-Profit Governance Guide


We are fortunate to engage with many charity and not-for-profit (NFP) organisations across the country. We’ve produced a Governance Guide to support the work of these organisations, with the goal of helping them ensure their assets are effectively managed.

Matt Henry, Forsyth Barr’s Head of Wealth Management Research, has written the article below as an introduction to the key issues and to provide an overview of the Governance Guide.


Helping Shape the Future: Managing the Assets of Not For Profits

New Zealanders are, on the whole, a charitable bunch. The country has around 28,000 registered charities — one for every 190 people, the highest per capita in the world — and more than 115,000 not-for-profit (NFP) organisations.

Many of these NFPs are endowed with significant financial investments that are directed at fulfilling their missions both today and in the future. A key goal for any NFP should be to ensure its assets are effectively managed. The performance of these investments can have a considerable bearing on an organisation’s future financial resources, and therefore its ability to deliver positive impact to its beneficiaries.

For any organisation, robust investment governance improves the chances of a positive outcome. Unfortunately, however, in our experience, this is an area where some NFPs fall short. This probably doesn’t come as a huge surprise. Many NFPs are relatively small, governed by passionate volunteers whose focus is on the organisation’s mission but who have limited investment experience – they don’t know what they don’t know. For us, a bit more surprising is that as NFPs get bigger their investment governance often doesn’t get a lot better. Even in larger organisations we regularly see examples where the investments are managed DIY or outsourced “to a mate”.

Please don’t get us wrong. We’re not suggesting all NFPs’ investment governance is lax. We see many good examples, in both big and small organisations. But we also see many where it could be significantly improved.

The importance of effective investment governance

Effective governance of a NFP’s investments are vital for a number of reasons:

  1. Legal duties: It helps ensure the board members or trustees of a NFP are meeting their duties under the governing legislation and organisation's governing documents.
  2. Financial sustainability: NFPs may rely on their investments to fund their operations and/or to support their mission. Effective governance ensures a NFP’s investment portfolio supports the organisation’s needs and objectives.
  3. Risk management: Investments inherently carry risk. Effective governance can help manage this risk, ensuring that the investment portfolio is properly diversified and is aligned with the organisation's investment timeframe and risk tolerance.
  4. Alignment of values: Most NFPs’ raison d'etre is founded on strong values and principles. Many wish to ensure all aspects of their organisation live up to those values, including their investment portfolios.
  5. Compliance with laws and regulations: NFPs are subject to laws and regulations regarding how they can invest their funds. Effective governance can help ensure compliance with these rules and avoid potential damage to the organisation's reputation.
  6. Trust and reputation: Donors need to trust that their contributions will be used wisely. Effective governance, including transparency and accountability, helps to build trust. Moreover, mismanagement of investments can damage an organisation's reputation, potentially impacting future donations and grants.

The governance toolkit

In order to deliver effective governance our experience suggests that there are a number of tools that any NFP should consider implementing.

Investment committee

The first step for many NFPs is to establish an investment committee to either advise the organisation on how to best manage its investments, or manage the portfolio under a delegated authority.

Inserted here: calculated crystals:
~~~
Record 1
This record from Alexandria via LeMat-Bulk describes a geometry-optimized AsPN2F structure. The functional is GGA-PBE.

Calculated values
Raw formation energy ... 12.904 kcal/mol of atoms
DFT total energy ... -5.157 eV/atom
Energy above the lowest structure with this stoichiometry ... 0.0 meV/atom

```
data_AsPN2F
_space_group_name_H-M_alt 'P 4/m m m'
_space_group_IT_number 123
_space_group_name_Hall '-P 4 2'
_cell_length_a 3.7007
_cell_length_b 3.7007
_cell_length_c 3.6892
_cell_angle_alpha 90.00
_cell_angle_beta 90.00
_cell_angle_gamma 90.00
loop_
_atom_site_label
_atom_site_fract_x
_atom_site_fract_y
_atom_site_fract_z
As1 0.0000 0.0000 0.0000
P1 0.5000 0.5000 0.5000
N1 0.0000 0.5000 0.5000
F1 0.5000 0.5000 0.0000
```

Record 2
This record from Alexandria via LeMat-Bulk describes a geometry-optimized AsPN2F structure. The functional is GGA-PBE.

Calculated values
Raw formation energy ... 22.501 kcal/mol of atoms
DFT total energy ... -4.741 eV/atom
Energy above the lowest structure with this stoichiometry ... 416.1 meV/atom

```
data_AsPN2F
_space_group_name_H-M_alt 'P 4/m m m'
_space_group_IT_number 123
_space_group_name_Hall '-P 4 2'
_cell_length_a 3.8882
_cell_length_b 3.8882
_cell_length_c 3.7974
_cell_angle_alpha 90.00
_cell_angle_beta 90.00
_cell_angle_gamma 90.00
loop_
_atom_site_label
_atom_site_fract_x
_atom_site_fract_y
_atom_site_fract_z
As1 0.0000 0.0000 0.0000
P1 0.5000 0.5000 0.5000
N1 0.0000 0.5000 0.0000
F1 0.0000 0.0000 0.5000
```

Record 3
This record from Alexandria via LeMat-Bulk describes a geometry-optimized AsPbNF2 structure. The functional is GGA-PBE.

Calculated values
Raw formation energy ... -0.487 kcal/mol of atoms
DFT total energy ... -4.106 eV/atom
Energy above the lowest structure with this stoichiometry ... 580.0 meV/atom

```
data_AsPbNF2
_space_group_name_H-M_alt 'P 4/m m m'
_space_group_IT_number 123
_space_group_name_Hall '-P 4 2'
_cell_length_a 4.4710
_cell_length_b 4.4710
_cell_length_c 4.5937
_cell_angle_alpha 90.00
_cell_angle_beta 90.00
_cell_angle_gamma 90.00
loop_
_atom_site_label
_atom_site_fract_x
_atom_site_fract_y
_atom_site_fract_z
As1 0.0000 0.0000 0.0000
Pb1 0.5000 0.5000 0.5000
N1 0.5000 0.5000 0.0000
F1 0.0000 0.5000 0.5000
```
~~~

The benefit of an investment committee is ensuring that the necessary skills and focus are applied to the management of the investment portfolio.

Investment committee charter

A Committee Charter outlines the authority, roles, and responsibilities of the investment committee and serves as a tool to unify committee members behind the purpose and mission of your organisation.

Code of conduct

A Code of Conduct outlines ethical standards for behaviour and should cover conflicts of interest, confidentiality, disclosure requirements, and other areas of potential ethical concern. A well written Code of Conduct provides security — protecting your organisation from a loss in reputation or donors’ gifts, and potential legal action.

Statement of investment policies and objectives (SIPO)

A well-formulated SIPO should outline the investment strategy that will support the mission of the organisation.

A SIPO defines the purpose, objectives, constraints, and measures of success for the investment portfolio. It outlines the policies and procedures for asset allocation, risk management, performance evaluation, and Responsible Investment.

A SIPO can help limit the emotional elements that sometimes inhibit an investment committee’s decision-making process. For example, overspending when investment returns are high, or reacting to challenging markets by changing strategies which, ultimately, could have a detrimental impact on the portfolio's long-term investment performance.

Responsible investment (RI) policy

A NFP may consider developing a responsible investment policy as part of its investment strategy. RI includes the incorporation of environmental, social, and governance (ESG) factors into the investment decision-making process. An RI policy can provide a number of benefits including improved risk management, alignment of values between the organisation and its investments, and compliance with regulatory requirements.

In summary, effective governance best positions an organisation to make informed investment decisions that align with its overall mission and strategy. To help, we have published Helping Shape the Future: Guide for Not-for-Profit Investment Governance to assist NFPs in answering the question “what does good investment governance look like?” 

Forsyth Barr takes pride in working with organisations across our community. We recognise the financial challenges of operating a successful NFP in today’s environment, and that it is critical to maximise the benefit of all resources available. If you would like a copy of our governance guide or would like to discuss how we could potentially help you better manage your financial assets please contact one of our financial advisers or email us at

Forsyth Barr releases Not-For-Profit Governance Guide